Activism and BDS Beat 31 August 2015
The video above shows police forcibly removing the peaceful protesters as they shout “Racists get out of Germany” and “Boycott Israel.”
This comes just weeks after hundreds of protesters in Paris turned a similar “Tel Aviv beach party” on the banks of the Seine into a public relations disaster for Israel.
“Smiling face of Zionism”
The Sunday event, featuring Israeli DJs, free gifts, “Israeli food counters” and massages was promoted by its sponsor as a celebration of Tel Aviv and the “various aspects of freedom this beautiful city stands for.”
Tel Aviv’s beach in particular was described as the place where “all of its inhabitants take their refuge from everyday’s hardship [sic].”
“And so, if Berlin to Germany is what Tel Aviv [is] to Israel, we try again – to connect the two, on a beautiful Sunday afternoon of great music and many many goodies,” the promotional announcement stated.

Activists blockade the entrance to the “Tel Aviv-Jaffa beach party” in Berlin, 30 August.
ActiveStills“We have chosen to disrupt the ‘Tel Aviv beach party’ since we must offer resistance to Zionism’s acts of propaganda,” the activists who took part in the protest say in a statement sent to The Electronic Intifada.
Israeli propaganda, or hasbara, can take many forms, the statement notes, including “cultural events promoting Israel’s ‘liberal culture’ or ‘gay-friendliness,’ also termed whitewashing and pinkwashing.”
“Liberal, middle class Tel Aviv is the smiling face of Zionism,” the statement says. “Tel Aviv’s luxury restaurants, hipster bars and hi-tech companies are home to the pilots setting Gaza ablaze.”
“It offers Israelis and tourists – but of course no Palestinian refugees or residents of the West Bank and Gaza – the chance to sit on its beautiful beaches and forget they are occupiers,” the statement adds.

German police forcibly remove activists from the entrance of the “Tel Aviv-Jaffa beach party” in Berlin, 30 August.
ActiveStillsThe activists also comment on the neighborhood where the event was held in the German capital: “Bringing a ‘Tel Aviv party’ to the center of a migrant neighborhood in Berlin, offering Palestinian dishes as authentic Israeli food in a posh restaurant that is beyond the reach of most of its working class residents, all in the name of a ‘multiculturalism’ which merely means the preservation of racist privileges – this is beyond shameless.” (Read the full statement below.)
In recent years, thousands of young Israelis have moved to the former Nazi capital.
Israel links

Online advertisement for last year’s “Tel Aviv beach party” in Berlin includes Israeli embassy’s logo.
The “beach party” was sponsored by Habait, which bills itself as a “unique independent project that is designed to promote contemporary Israeli culture in Berlin.”
The advertising for Sunday’s event does not mention any official sponsorship by the Israeli embassy. But the Berlin activists believe that this was a deceptive tactic meant to avoid protests.
Activists told The Electronic Intifada they witnessed the presence of plainclothes Israeli security, an indication in their view that it was coordinated with and supported by the Israeli embassy.
The embassy also promoted the event in advance on its social media accounts and posted photos from the party itself.
Last year, the event was explicitly co-sponsored by the Israeli embassy, whose logo was prominent on the 2014 advertising materials.In 2012, some of the same activists who participated in this protest disrupted a Habait concert to raise money for the Jewish National Fund (JNF).
JNF is an Israeli state-backed entity that directly participates in the ethnic cleansing and colonization of Palestinian land throughout historic Palestine, often under the guise of ecological initiatives.
Earlier this summer, activists heckled the Israeli ambassdor Yakov Hadas-Handelsman as he attempted to give a speech pinkwashing Israel as an LGBT haven at a Berlin pride event.
Full statement from Berlin activists
Zionism’s Smiling Face
A statement regarding the disruption of the “Tel Aviv beach party” in Berlin, 30 August 2015:
The organizers of this year’s “Tel Aviv beach party” (shamelessly renamed to “Tel Aviv-Jaffa” in an ironic attempt to depoliticize the event, only emphasizing more the colonization of Palestine), would love to see themselves as non-political.
Their city is a city of “various aspects of freedom,” where “all of its inhabitants take their refuge from everyday’s hardship.” They are the good guys, flawless and pure. They come to Berlin in order to not see the occupation of Palestine, which after 68 years became an eye sore spoiling their beautiful view of Tel Aviv’s “wonderful beach.”
Some are apparently even ready to donate their fees to liberal human rights organizations of their choice, which will use it to further sustain an unsustainable situation. They wish to promote a culture of “liberal notions of human rights and freedom.” They’d love to see themselves as part of a solution, since they rather dance in Berlin than burn babies in the West Bank. They refuse to see that they themselves are the problem.
Liberal, middle class Tel Aviv is the smiling face of Zionism, blinding the world with the whiteness of its teeth while its booted foot lays firmly on the neck of the Palestinian people. Tel Aviv’s luxury restaurants, hipster bars and hi-tech companies are home to the pilots setting Gaza ablaze, the companies profiting from the colonization of Palestine, the artists making the world dance and sing and forget, while underneath them commands of death are being given in front of screens in deep bunkers.
Tel Aviv’s tourism, its pride parades, its stock markets are the shiny jewels Israel holds up to the world while its military marches through West Bank villages, while its secret police holds activists for months on end without charge in its cellars, while its judicial system legitimizes ethnic cleansing and stealing of land. Tel Aviv is the beating heart of Zionism. It offers Israelis and tourists – but of course no Palestinian refugees or residents of the West Bank and Gaza – the chance to sit on its beautiful beaches and forget they are occupiers.
We are here to remind them of just that.
We have chosen to disrupt the “Tel Aviv beach party” since we must offer resistance to Zionism’s acts of propaganda. This propaganda, dubbed by the state hasbara (explanation), has many faces. It can take the form of army generals and politicians interviewing to CNN, justifying war crimes with biblical rhetoric. It can take the form of American billionaires using their capital against Palestinian solidarity groups in university campuses. It can take the form of cultural events promoting Israel’s “liberal culture” or “gay-friendliness,” also termed whitewashing and pinkwashing.
In the last years, due to the rising success of campaigns of the global boycott, divestment and sanctions (BDS) movement, more and more events which used to be openly sponsored by the Israeli government suddenly appear as self-organized and independent, so as to not be boycottable by BDS guidelines. But any short Internet search shows the past connections of the organizers of the “Tel Aviv beach party” with the Israeli state or with the JNF, its main organ of ethnic displacement.
It is for those reasons that this propaganda must be opposed, even if it does not fall under the categories of a BDS campaign. Bringing a “Tel Aviv party” to the center of a migrant neighborhood in Berlin, offering Palestinian dishes as authentic Israeli food in a posh restaurant that is beyond the reach of most of its working class residents, all in the name of a “multiculturalism” which merely means the preservation of racist privileges – this is beyond shameless. This shall not pass.
They will call us anti-Semites. Those of us who are Jews they will call self-hating. But we will continue pointing our finger at the lies of their propaganda. And the world will see through the smiling face of Zionism.
Palestine Solidarity Activists in Berlin, August 2015.
The Actual Not So Smiley Face of Zionism
Permalink Zionism Is Not Judaism replied on
"Camp Ethnic Cleansing". (White sheets and jackboots will be provided free at the entrance to all the new age hipster hasbarites invitees.)
Staged mosque, church and baby burnings daily. Guests will witness first hand torture centers, terrordomes. and open air gulags in action.
Shows the world the wonders of post 1948 occupied Palestine. "Separate and not equal"
Plessy vs Ferguson on steroids.
European capitals targetted
Permalink Philippa replied on
Tel Aviv trying to snuggle up to three European capitals (Paris, Amsterdam and Berlin) within such a short time cannot be a coincidence. This is clearly orchestrated.
The amusing and probably unintended implication is that Tel Aviv is indeed the capital of Israel, as everyone in the world. .. except for Israel... believes.
Berlin isn't Tel Aviv
Permalink Pauline Park replied on
-- begin --
Starting from DFT lattice parameters and positions (PBE), the XRD peak list of KCdIn was computed for copper Kα.
Peak positions follow from Bragg's law for the DFT cell and can differ from measured ones.

Top 10 peaks for 2θ from 10° to 90°, by intensity:
35.52°, d = 2.527 Å, I 100; 32.52°, d = 2.754 Å, I 98; 28.59°, d = 3.122 Å, I 88; 28.69°, d = 3.111 Å, I 87; 14.42°, d = 6.144 Å, I 78; 34.36°, d = 2.610 Å, I 71; 19.85°, d = 4.472 Å, I 55; 41.28°, d = 2.187 Å, I 53; 41.15°, d = 2.194 Å, I 36; 48.16°, d = 1.889 Å, I 33

Structural model:
```
KCdIn
1.0
5.066 -4.332 0.000
5.066 4.332 0.000
-2.665 0.000 4.489
K Cd In
2 2 2
Direct
0.180 0.820 0.500
0.820 0.180 0.000
0.583 0.769 0.175
0.769 0.583 0.675
0.239 0.413 0.826
0.413 0.239 0.326
```

----------

1.
Theoretical PXRD pattern
Compound: RbDyRuO6
Radiation: Cu Kα, 1.54184 Å
Structure: a crystal structure in Alexandria, relaxed with PBE
Neutral-atom scattering factors, no anomalous dispersion.

Crystal structure
```
data_RbDyRuO6
_symmetry_space_group_name_H-M 'P 3 1 2'
_symmetry_Int_Tables_number 149
_cell_length_a 5.6352
_cell_length_b 5.6352
_cell_length_c 6.1564
_cell_angle_alpha 90.00
_cell_angle_beta 90.00
_cell_angle_gamma 120.00
loop_
_symmetry_equiv_pos_as_xyz
'x,y,z'
'-y,x-y,z'
'-x+y,-x,z'
'-y,-x,-z'
'-x+y,y,-z'
'x,x-y,-z'
loop_
_atom_site_label
_atom_site_fract_x
_atom_site_fract_y
_atom_site_fract_z
Rb1 0.0000 0.0000 0.0000
Dy1 0.3333 0.6667 0.5000
Ru1 0.6667 0.3333 0.5000
O1 0.4115 0.0469 0.6786
```

Most intense lines, 10° ≤ 2θ ≤ 90°, by angle:
hkl 0 0 1, 14.39 deg, rel. 48; hkl 1 0 1, 23.26 deg, rel. 100; hkl 0 0 2, 29.01 deg, rel. 15; hkl 1 1 0, 31.76 deg, rel. 40; hkl 2 -1 1, 35.02 deg, rel. 19; hkl 2 0 1, 39.74 deg, rel. 20; hkl 2 -1 2, 43.55 deg, rel. 50; hkl 3 -1 1, 51.74 deg, rel. 22; hkl 3 0 0, 56.58 deg, rel. 12; hkl 2 0 3, 58.76 deg, rel. 15

2.
Theoretical PXRD pattern
Compound: CeSm4S7
Radiation: Cu Kα, 1.54184 Å
Structure: a crystal structure in Alexandria, relaxed with PBE
Neutral-atom scattering factors, no anomalous dispersion.

Crystal structure
```
data_CeSm4S7
_symmetry_space_group_name_H-M 'C 1 m 1'
_symmetry_Int_Tables_number 8
_cell_length_a 13.2764
_cell_length_b 3.9083
_cell_length_c 11.8464
_cell_angle_alpha 90.00
_cell_angle_beta 104.83
_cell_angle_gamma 90.00
loop_
_symmetry_equiv_pos_as_xyz
'x,y,z'
'x,-y,z'
'x+1/2,y+1/2,z'
'x+1/2,-y+1/2,z'
loop_
_atom_site_label
_atom_site_fract_x
_atom_site_fract_y
_atom_site_fract_z
Ce1 0.0000 0.0000 0.0000
Sm1 0.1121 0.0000 0.4215
Sm2 0.2244 0.0000 0.8405
Sm3 0.3121 0.5000 0.2337
Sm4 0.4127 0.0000 0.6098
S1 0.0687 0.0000 0.6357
S2 0.1125 0.5000 0.9187
S3 0.1559 0.0000 0.2069
S4 0.2714 0.5000 0.4715
S5 0.3514 0.5000 0.7704
S6 0.3703 0.0000 0.0698
S7 0.4535 0.0000 0.3704
```

Most intense lines, 10° ≤ 2θ ≤ 90°, by angle:
-- stop --
Berlin isn't Tel Aviv any more than Paris is, no matter how aggressively Israel's government and Zionist propagandists will try to make false comparisons between apartheid Israel's largest city and the German and French capitals. It isn't from Berlin that the Israeli occupation of Palestine is directed; but the sad fact is that the government of Angela Merkel is complicit in the illegal Israeli occupation, subsidizing it out of a false sense that funding the occupation of Palestine somehow helps atone for the Holocaust. The German government needs to move from this false consciousness to embrace human rights for all, challenging Israel's apartheid regime. Kudos to the Palestine Solidarity Activists of Berlin for challenging the Zionist propaganda of the #Berlin version of #telavivsurseine~!
Beach party
Permalink Charles Frey replied on
Only a pathological mind could claim, that complicity in new war crimes somehow atones for old ones.
Permalink Artemis replied on
Germans don't claim that new war crimes atone for old ones. They are however deeply shamed and traumatised by their past and this is subtly reinforced and pushed in a new direction in schools and the media by Israel's lobbyists and the Zentralrat der Juden, and by willing liberals and philosemites who trip over themselves in their eagerness to accuse critical voices of antisemitism and connect all Palestinians with Hamas. Politicians are the worst, except for the very few, being utter cowards. It is an alarming spectacle to witness.
Berlin's beach of a party
Permalink Charles Frey replied on
Artemis, well written and superbly analyzed. However, you are equating my "pathological mind" with your "Germans"; neither said nor intended by me. Rather, aimed at those to whom you refer in your second-last sentence.
I was born in Berlin in 39, bombed out four times and then evacuated 100 kms southeast of Berlin, only to be overrun by the Red Army. Berlin's borough of Kreuzberg is predominantly Turkish Muslim. Just another hasbara jab.
Check out the four Professorships of Jewish Studies at the University of Potsdam. A departure from Federal policies not to assist religious instruction.
Equally informative is a reading of Berlin's "Juedische Allgemeine", weekly. Fuzzy-warm teddy-bear stories, serving as a therefore more credible vehicle of Bibi's relentless hasbara.